SPA-PK1-Module 2 Card Payment Fraud – Online Payments Fraud

This module is part of the Card Payment Fraud courses and can be taken separately or as part of the four modules.

At Secure Payments Academy we have been providing payments technology training courses, covering current and new card payment technologies. This course is a deep dive guide into “How to mitigate fraudulent transactions” for the card present as well as the CNP eCommerce world. All our courses are designed based on our hands-on experiences in implementation of payment technologies through our consulting engagements. Our consulting work is through our main company Smart Commerce International or, we provide in-person as well as eLearning courses.

We have developed a comprehensive course on all aspects of Card Payments Fraud, in four different modules. These modules describe both Card-Present and Card-Not-Present fraud types and fraud prevention methods deployed today. These course modules can be taken separately or together.

Module 2 – “Online Payments Fraud.”

In this module we continue with online or Card-Not-Present payment transactions fraud that has become a huge problem, especially after COVID-19 lockdowns when everyone had to go online for their purchases and pay online.

This module includes an explanation of the differences between Card-Present and Card-Not Present payment transactions and the way fraudsters attack each scenario. We detail different types of online or card-not-present fraud. This is followed by a description of technologies used to mitigate the online card payment fraud.

Module 2 – Online Fraud Agenda

  • Introduction – a description of what is online fraud and how it affect the payment systems.
  • Card Present Vs Card Not Present Transaction Flows.
  • Card Not Present Online Fraud – we describe types of online fraud.
  • True Cost of Fraud – we describe three scenarios and how stakeholders are affected by fraudulent activities for online payments.
  • Card Not Present Fraud Mitigation Principal Attributes – we describe the main attributes of techniques used for mitigation technologies.
  • Card Not Present Fraud Prevention Technologies – here we describe different techniques used for online fraud prevention.

To register for this module please click Here.

'''
The molecule CH7N2PS2 at a distorted geometry. Source: the OMol25 dataset; level of theory: ωB97M-V/def2-TZVPD.

- LUMO (spin up / spin down) (eV) = 0.6 / -2.4
- total energy (Eh) = -1289.43382
- spin multiplicity = 3
- total charge = 0
- largest force on an atom (Eh/bohr) = 0.0858
- HOMO level (spin up / spin down) (eV) = -5.370 / -9.163
- ⟨S²⟩ = 2.007

Geometry as XYZ:
```
13
Properties=species:S:1:pos:R:3:forces:R:3
C -1.415 -1.692 -0.485 0.70 0.03 -1.87
N 1.254 0.715 1.385 -3.43 1.40 2.40
N 1.749 1.530 -0.909 0.34 -1.12 -0.23
P 1.348 0.070 -0.156 3.18 -1.24 -0.19
S -2.250 0.946 0.728 -0.33 -0.17 -0.21
S -1.177 0.085 -0.684 -2.21 -0.20 -0.04
H -2.376 -2.026 -0.277 -2.44 0.21 -0.51
H -0.986 -2.171 0.303 2.22 -0.24 3.02
H -0.970 -2.315 -1.269 -0.34 0.78 -0.64
H 0.269 1.099 1.724 2.51 -0.72 -1.27
H 1.488 0.122 2.164 0.52 -0.45 -0.12
H 1.980 1.417 -1.891 -0.43 0.53 0.10
H 1.085 2.219 -0.634 -0.28 1.17 -0.43
```
Positions in Å, forces in eV/Å.

Charges in e, computed with Mulliken, in the same order as the atoms: atom 1 (C): -1.06, atom 2 (N): -0.53, atom 3 (N): -0.51, atom 4 (P): 0.06, atom 5 (S): -0.20, atom 6 (S): 0.03, atom 7 (H): 0.41, atom 8 (H): 0.45, atom 9 (H): 0.36, atom 10 (H): 0.21, atom 11 (H): 0.28, atom 12 (H): 0.25, atom 13 (H): 0.27

=====

A cluster of 2 separate species, CH7N2S in total. Source: the OMol25 dataset; level of theory: ωB97M-V/def2-TZVPD.

- LUMO (eV) = 4.3
- total energy (Eh) = -550.02151
- spin multiplicity = 1
- total charge = -1
- largest force on an atom (Eh/bohr) = 0.0185
- HOMO level (eV) = -2.734

Geometry as XYZ:
```
11
Properties=species:S:1:pos:R:3:forces:R:3
N -0.967 -0.356 -0.282 -0.05 0.13 -0.80
C 0.013 0.296 0.562 -0.31 -0.02 0.58
N -0.445 1.508 1.239 0.58 0.29 0.34
H -1.454 -1.101 0.193 0.10 -0.11 0.00
H -0.511 -0.744 -1.133 -0.33 0.11 0.89
H 0.390 -0.363 1.363 -0.06 0.09 -0.25
H 0.864 0.557 -0.051 0.17 0.02 -0.13
H -0.688 2.270 0.625 -0.18 -0.21 -0.20
H -1.158 1.381 1.940 -0.17 -0.21 -0.20
S 1.574 -1.237 -2.011 0.25 -0.03 -0.15
H 2.383 -2.211 -2.446 0.00 -0.06 -0.08
```
Positions in Å, forces in eV/Å.

Charges in e, computed with Mulliken, in the same order as the atoms: atom 1 (N): -0.61, atom 2 (C): -0.27, atom 3 (N): -0.55, atom 4 (H): 0.20, atom 5 (H): 0.22, atom 6 (H): 0.24, atom 7 (H): 0.29, atom 8 (H): 0.21, atom 9 (H): 0.17, atom 10 (S): -0.85, atom 11 (H): -0.06

=====

A cluster of 2 separate species, CH7N2Si in total at a distorted geometry. Source: the OMol25 dataset; level of theory: ωB97M-V/def2-TZVPD.

- LUMO (eV) = -5.1
- total energy (Eh) = -440.97122
- spin multiplicity = 1
- total charge = +1
- largest force on an atom (Eh/bohr) = 0.1058
- HOMO level (eV) = -15.394

Geometry as XYZ:
```
11
Properties=species:S:1:pos:R:3:forces:R:3
C 0.845 -0.414 0.260 3.06 -0.69 -0.19
N 2.094 -0.050 -0.139 -1.39 2.32 -0.35
N -0.235 0.236 0.033 0.59 5.03 -2.00
Si -2.045 -0.107 0.019 1.53 -0.14 0.83
H 0.894 -1.399 0.764 -0.82 0.53 -0.20
H 2.963 -0.427 0.209 -0.36 -0.51 0.19
'''
The records of molecules stop here:

Learning Outcomes:

By the end of this course delegates will be able to:

  • Describe the fraud types for card not present transactions.
  • Identify differences between CNP and card present fraud patterns
  • Explain different CNP fraud types how they are used used for detection & mitigation of online fraud.

Who should Attend:

  • Payment stakeholders with an online presence for online purchase and payment of goods.
  • Merchant System Operations, Engineering
  • Issuer/Processor Operations, Engineering
  • Fraud Analysis personnel
  • System Architects and Developers
  • IT and Technical Departments
  • Vendors of CNP fraud detection Systems

The attendees taking the four modules will be understand what fraud threat types are and which tools are available to mitigate and stop fraudulent activities. This will help make decisions on how to use these techniques with a clear understanding of the issues.

To register for any of module please click Here

For any enquiries please contact us Here.